Figure 1: This shallow water Bahamian reef supports a diverse array of corals, sponges, and fish. The kaleidoscope of bright colors is what most of us envision when we think of corals. Click image for larger view and image credit.
Microbial Communities Associated with Deep-water Corals
Julie Olson
University of Alabama
When someone hears the word coral, the mental image most often created is that of a shallow water coral reef species- a greenish to brownish mounding (or branching) colonial organism that is surrounded by a vast array of brightly colored fish and sponges (Figure 1). The corals that are the focus of this expedition are quite different. As a result of the depth where they are found, no sunlight reaches the ocean floor so these corals lack photosynthetic symbionts (colorful organisms which live within the coral's tissues in a symbiotic relationship, sharing food and receiving shelter), which makes them bright white (Figure 2), and forces them to rely on other mechanisms for generating energy. Deep-water corals remove small particulate materials from the surrounding water column to use as food. In addition to having tentacles to 'grab' materials, many corals often secrete mucus (slime) layers which help to trap particles as they move by in the current.

Figure 2: This thicket of Lophelia pertusa corals from the Gulf of Mexico displays the calcium carbonate skeleton and the coral tentacles. The bright white appearance of these corals is often in stark contrast to the dark surrounding ocean floor. Click image for larger view and image credit.
Within this mucus layer live many microorganisms. Differences in the microbial communities associated with healthy and diseased host corals have been found but little is still known about the function of these microorganisms. Current theories include serving as disease pathogens, providing a source of food for the coral, transient organisms living on the carbon-rich mucus, or functioning as defensive organisms, helping the coral fend off potentially pathogenic microorganisms. By examining different host corals at various locations and depths, scientists may be able to tease apart the factors that control the composition and functions of the microbial community.
Several approaches will be used on this expedition to characterize the microorganisms collected from the coral mucus. Cultivation, or growing the associated microbes, is one method (Figure 3). Unfortunately, only about one percent of microorganisms can be cultivated under laboratory conditions, suggesting that this approach 'misses' the vast majority of the biodiversity. It is still useful, however, for providing isolates that can be studied to learn more about their metabolism and potential for providing chemical defenses for the host coral. The second approach is to use the genetic information stored in the microbes without having to grow them. The DNA (deoxyribonucleic acid) is extracted from all cells, coral and microorganism, and is subjected to amplification in the laboratory to provide sufficient material. By using short starting sequences for the amplification reaction, it is possible to only reproduce the genetic information from the organisms of interest. The resulting amplified communities can be analyzed with a variety of techniques to shed light on the diversity, specificity, and potentially the function of the associated microorganisms.
+++
{"formula": "C44H60Br2N4O2Ti", "method": "wB97M-V/def2-TZVPD", "de_lowest_kj_mol": 0.0, "total_charge": 1, "orbital_gap_ev": [6.658, 6.683], "multiplicity": 2, "lumo_energy_ev": [-3.455, -3.475], "symbols": ["Ti", "C", "C", "H", "C", "C", "H", "H", "H", "Br", "H", "H", "C", "O", "H", "C", "H", "C", "C", "H", "O", "C", "H", "H", "H", "H", "H", "H", "H", "H", "C", "H", "H", "H", "C", "H", "C", "C", "C", "H", "H", "C", "C", "H", "H", "H", "C", "C", "N", "C", "C", "C", "C", "H", "H", "N", "H", "H", "C", "C", "C", "C", "C", "C", "C", "H", "C", "C", "H", "H", "H", "C", "H", "C", "C", "H", "Br", "H", "C", "H", "H", "C", "H", "H", "C", "H", "C", "H", "H", "C", "C", "H", "N", "H", "H", "C", "H", "C", "H", "H", "H", "H", "H", "H", "C", "N", "C", "H", "H", "H", "H", "H", "H"], "xyz": [[-0.28, 0.31, -1.02], [1.03, 0.83, -3.92], [-1.31, -6.47, 2.55], [2.00, -4.05, -2.76], [-0.59, -5.09, -0.95], [-0.37, 1.92, 2.13], [-0.44, 4.75, 6.71], [2.24, 1.29, 0.96], [1.45, 5.26, 2.55], [0.14, 2.86, -7.39], [1.33, -2.25, 0.27], [0.70, -1.97, -3.51], [0.11, 2.60, 0.99], [-0.05, 1.98, -0.19], [0.98, 6.76, -0.69], [0.64, 6.11, 0.12], [3.09, 5.28, 1.10], [-1.21, -4.01, 1.07], [-0.09, -2.62, -3.89], [-1.75, -7.60, -0.68], [-0.59, -1.49, -1.45], [1.24, -4.62, -3.29], [0.42, -8.21, 1.41], [0.89, 6.60, 1.06], [-1.41, 0.28, 2.98], [-2.18, -4.36, -3.80], [3.72, 0.43, 0.47], [1.48, 3.29, -1.66], [-2.15, 0.92, 1.52], [-0.07, 4.12, -1.61], [-0.51, -3.88, -1.66], [-0.36, -6.00, -1.49], [3.31, 3.91, 0.00], [1.80, 0.20, -3.52], [-0.91, -5.19, 0.39], [-2.99, -6.99, 0.42], [-2.00, -7.44, 0.37], [-1.02, 1.82, -3.58], [-3.39, 1.15, -0.92], [-2.04, -8.42, 0.85], [-2.97, 3.76, -3.64], [1.29, 4.73, -0.01], [-2.19, 1.99, -2.67], [-1.78, -1.81, 2.19], [-3.48, 0.40, -0.14], [-0.45, 6.04, 0.06], [1.13, 1.34, -5.20], [-1.55, -1.54, 1.16], [-0.02, 1.06, -3.12], [-1.19, 0.67, 1.98], [0.09, 2.13, -5.66], [2.74, 0.78, 0.14], [-4.22, 3.06, -2.06], [0.73, -7.35, -0.09], [-1.04, -2.08, -3.81], [-2.30, 1.10, -1.67], [1.19, -6.62, 1.45], [3.19, 5.55, -0.64], [-0.14, -3.96, -3.15], [1.69, -1.33, 0.73], [1.63, 3.20, 5.75], [-1.14, -2.79, 0.42], [0.71, -0.83, 1.76], [0.43, -7.22, 0.95], [0.75, 4.19, 4.98], [-1.49, -4.03, 2.11], [-0.16, 2.45, 3.39], [2.70, -1.05, -1.40], [-2.31, -6.05, 2.70], [2.60, 3.07, 5.26], [1.25, -5.64, -2.89], [0.94, 4.32, 2.43], [3.07, -0.33, -2.13], [-1.19, -4.82, -3.87], [-0.76, -2.71, -0.93], [0.11, -2.82, -4.94], [-5.49, 4.42, -2.29], [-1.12, 3.40, 5.81], [1.00, 4.24, -1.44], [-0.52, 1.90, 4.25], [2.87, 1.50, -0.67], [-1.01, 2.37, -4.85], [1.99, 1.13, -5.81], [-1.26, -5.83, -3.45], [-4.39, 2.09, -1.08], [1.80, 3.55, 6.77], [2.81, 4.88, 0.12], [1.38, 4.99, -2.14], [0.86, 6.30, 4.45], [1.45, 5.55, 4.98], [-0.60, 4.35, 5.71], [-1.31, -7.47, 2.99], [-0.58, -0.41, 1.16], [1.12, 0.03, 2.29], [-0.93, -4.92, -4.92], [0.51, 3.66, 3.57], [-2.48, -1.15, 0.72], [-3.11, 3.01, -2.88], [2.08, -1.79, -1.88], [3.58, -1.54, -0.96], [-0.59, -5.86, 3.10], [1.52, -4.68, -4.34], [0.54, -1.61, 2.50], [1.16, 2.21, 5.82], [0.76, 3.84, 1.13], [1.93, -0.35, -0.36], [-0.95, -6.56, 1.07], [2.64, -1.56, 1.22], [-1.84, 2.94, -5.23], [1.58, 5.90, 6.00], [-1.25, 5.03, 5.16], [2.44, 5.50, 4.52], [-5.26, 2.08, -0.43]], "mulliken_spin": [0.893, 0.025, 0.000, 0.000, 0.001, -0.004, 0.000, -0.004, 0.000, 0.000, -0.010, 0.011, 0.009, 0.006, 0.000, 0.000, 0.000, 0.001, 0.002, 0.000, -0.048, 0.000, 0.000, 0.000, 0.001, 0.000, 0.002, 0.007, -0.007, 0.000, 0.001, 0.000, 0.001, -0.024, -0.001, 0.000, 0.000, 0.012, 0.018, 0.000, 0.000, 0.000, 0.017, 0.001, -0.014, 0.000, 0.000, 0.065, -0.002, 0.059, 0.000, 0.023, -0.001, 0.000, -0.002, 0.004, 0.000, 0.000, 0.001, 0.020, 0.000, -0.023, 0.019, 0.000, 0.000, 0.000, 0.001, 0.052, 0.000, 0.000, 0.000, 0.001, 0.003, 0.000, 0.016, 0.000, 0.000, 0.000, 0.002, 0.000, 0.003, 0.003, 0.000, 0.000, 0.008, 0.000, 0.000, 0.000, 0.000, 0.000, 0.000, 0.000, -0.074, -0.002, 0.000, -0.001, -0.012, -0.004, -0.019, 0.001, 0.000, 0.000, -0.001, 0.000, -0.001, -0.042, 0.000, 0.004, 0.000, 0.000, 0.000, 0.000, 0.000]}
+++

Figure 3: Microorganisms cultivated from deep-water organisms. Notice the variety of colors, shapes, and sizes of the resulting colonies. By the time the colony is large enough to be seen by the human eye, it has at least one million cells. Click image for larger view and image credit.
Because these corals are found at deep-water sites and are often associated with topographic features of the ocean floor, a submersible is necessary to obtain samples. Small pieces of the corals will be collected using the Harbor Branch Oceanographic Institution's Johnson-Sea-Link manned submersible and preserved while underwater such that the microbial community associated with the coral mucus will not be affected by the movement of the sub through the water to the surface. Replicate samples will be taken for microbial cultivation but will likely be affected by the change in ambient water, temperature, and pressure.
Using methods such as those described above will allow us to learn more about the distribution, abundance, and function of the inhabitants of the deep ocean, enabling us to add to the body of information necessary for effective resource management decisions.